Hyderabad: The life of a woman is like a roller coaster ride. From house to the office, marriage to motherhood, in every stage they encounter several challenges. On the course of managing these duties, most of the women forget to take care of themselves.
Hence, they face a different set of financial-planning crisis than men because they tend to live longer, earn less, and take more breaks from the workforce. Women may also experience more difficulties if they are widowed or divorced.
The text is interrupted by records of crystals:
'''
## A
Compound: NbIrSCl2
Source: Alexandria via LeMat-Bulk
Functional: PBE-GGA
Structure: optimized geometry

The density of states at the Fermi level comes out at 6.06 states/eV/f.u.

The space group is P4/mmm (No. 123) and the conventional cell measures 4.708, 4.708 and 4.775 Å, with angles of 90.00, 90.00 and 90.00 degrees. The inequivalent atoms are Nb at (0.000, 0.000, 0.000), Ir at (0.500, 0.500, 0.500), S at (0.500, 0.500, 0.000) and Cl at (0.000, 0.500, 0.500).

=====

## B
Compound: NbIrSCl2
Source: Alexandria via LeMat-Bulk
Functional: PBE-GGA
Structure: optimized geometry

The density of states at the Fermi level comes out at 7.70 states/eV/f.u.

The space group is P4/mmm (No. 123) and the conventional cell measures 4.833, 4.833 and 4.847 Å, with angles of 90.00, 90.00 and 90.00 degrees. The inequivalent atoms are Nb at (0.000, 0.000, 0.000), Ir at (0.500, 0.500, 0.500), S at (0.000, 0.000, 0.500) and Cl at (0.000, 0.500, 0.000).

=====

Winner for stability: B

=====

## A
Compound: NbIrS2Cl
Source: Alexandria via LeMat-Bulk
Functional: PBE-GGA
Structure: optimized geometry

The density of states at the Fermi level comes out at 4.37 states/eV/f.u.

The space group is P4/mmm (No. 123) and the conventional cell measures 4.687, 4.687 and 4.603 Å, with angles of 90.00, 90.00 and 90.00 degrees. The inequivalent atoms are Nb at (0.000, 0.000, 0.000), Ir at (0.500, 0.500, 0.500), S at (0.000, 0.500, 0.500) and Cl at (0.500, 0.500, 0.000).

=====

## B
Compound: NbIrS2Cl
Source: Alexandria via LeMat-Bulk
Functional: PBE-GGA
Structure: optimized geometry

The density of states at the Fermi level comes out at 7.66 states/eV/f.u.

The space group is P4/mmm (No. 123) and the conventional cell measures 4.812, 4.812 and 4.739 Å, with angles of 90.00, 90.00 and 90.00 degrees. The inequivalent atoms are Nb at (0.000, 0.000, 0.000), Ir at (0.500, 0.500, 0.500), S at (0.000, 0.500, 0.000) and Cl at (0.000, 0.000, 0.500).

=====

Winner for stability: A

=====

## A
Compound: Nd2IrCl
Source: Alexandria via LeMat-Bulk
Functional: PBE-GGA
Structure: optimized geometry

The density of states at the Fermi level comes out at 1.33 states/eV/f.u.

The space group is R3m (No. 160, hexagonal axes) and the conventional cell measures 4.1286, 4.1286 and 23.0876 Å, with angles of 90.00, 90.00 and 120.00 degrees. The inequivalent atoms are Nd at (0.0000, 0.0000, 0.0000), Nd at (0.0000, 0.0000, 0.2006), Ir at (0.0000, 0.0000, 0.6000) and Cl at (0.0000, 0.0000, 0.4288).

=====

## B
Compound: Nd2IrCl
Source: Alexandria via LeMat-Bulk
Functional: PBE-GGA
Structure: optimized geometry

The density of states at the Fermi level comes out at 2.63 states/eV/f.u.

The space group is P4/mmm (No. 123) and the conventional cell measures 3.457, 3.457 and 8.157 Å, with angles of 90.00, 90.00 and 90.00 degrees. The inequivalent atoms are Nd at (0.000, 0.000, 0.217), Ir at (0.500, 0.500, 0.000) and Cl at (0.500, 0.500, 0.500).

=====

Winner for stability: A

=====

## A
'''
So much for the records of crystals:
The good news is that women are smart in savings. According to a report, women save at rate about 5%-10% higher than those of men across every income group.
However, even though their savings rates were higher, women’s balances in savings accounts tended to be lower than those of men because women, on average, had lower incomes. This emphasizes the extreme importance of saving for women.
So here we are sharing some tips which help you in achieving your financial goals.
Say hello to SIP
The habit of saving money in women originates from home. Remember the days, when our grandmother or mother managed to save as much as they can by using their negotiation skills or by cutting down the unnecessary expenses. Practice that!
Start investing through Systematic Investment Plan (SIP). It is a financial tool that helps to create wealth, by investing a small amount of money every day/month over a period of time.
It is a platform offered by mutual funds to invest in a disciplined manner. It follows the method known as ‘Rupee cost averaging’ and ‘Power of compounding’ that generates a lucrative and attractive income in the longer term.
A plane-wave DFT calculation with GGA-PBE was carried out for an optimized crystal structure of CoBW3.

Values from the calculation:
- crystal system = cubic

The structure in CIF format:
```
data_CoBW3
_space_group_name_H-M_alt 'P m -3 m'
_space_group_IT_number 221
_space_group_name_Hall '-P 4 2 3'
_cell_length_a 4.136
_cell_length_b 4.136
_cell_length_c 4.136
_cell_angle_alpha 90.00
_cell_angle_beta 90.00
_cell_angle_gamma 90.00
loop_
_atom_site_label
_atom_site_fract_x
_atom_site_fract_y
_atom_site_fract_z
_atom_site_occupancy
Co1 0.000 0.000 0.000 1
B1 0.500 0.500 0.500 1
W1 0.000 0.500 0.500 1
```



A plane-wave DFT calculation with GGA-PBE was carried out for an optimized crystal structure of Y3Co4B4.

Values from the calculation:
- crystal system = monoclinic

The structure in CIF format:
```
data_Y3Co4B4
_space_group_name_H-M_alt 'C 1 2/m 1'
_space_group_IT_number 12
_space_group_name_Hall '-C 2y'
_cell_length_a 21.632
_cell_length_b 3.388
_cell_length_c 3.980
_cell_angle_alpha 90.00
_cell_angle_beta 96.47
_cell_angle_gamma 90.00
loop_
_atom_site_label
_atom_site_fract_x
_atom_site_fract_y
_atom_site_fract_z
_atom_site_occupancy
Y1 0.000 0.000 0.000 1
Y2 0.149 0.500 0.101 1
Co1 0.059 0.500 0.542 1
Co2 0.213 0.000 0.631 1
B1 0.108 0.000 0.577 1
B2 0.245 0.000 0.146 1
```



Number 1: E_form 0.434 eV/atom, total energy -10.0942 eV/atom. Number 2: E_form -0.362 eV/atom, total energy -7.1366 eV/atom.

=====

Entry 1:
La2CoSbN | Alexandria via LeMat-Bulk | GGA-PBE | relaxed; formation energy (no corrections) = -0.86 eV/atom; magnetization = 0.0 μB/cell; DOS(E_F) = 2.500 states/eV/f.u.
1.0
5.457 0.000 0.000
0.000 5.457 0.000
0.000 0.000 3.655
La Co Sb N
2 1 1 1
direct
0.000 0.500 0.000
0.500 0.000 0.000
0.000 0.000 0.500
0.500 0.500 0.500
0.000 0.000 0.000



Entry 2:
LaSc2CoN | Alexandria via LeMat-Bulk | GGA-PBE | relaxed; formation energy (no corrections) = 1.32 eV/atom; magnetization = 1.1 μB/cell; DOS(E_F) = 5.660 states/eV/f.u.
1.0
5.518 0.000 0.000
0.000 5.518 0.000
0.000 0.000 4.081
La Sc Co N
1 2 1 1
direct
0.000 0.000 0.000
0.000 0.500 0.000
0.500 0.000 0.000
0.500 0.500 0.500
0.000 0.000 0.500



Entry 3:
LaCoSeN2 | Alexandria via LeMat-Bulk | GGA-PBE | relaxed; E above lowest polymorph = 1092 meV per atom; formation energy (no corrections) = 1.13 eV/atom; magnetization = 2.6 μB/cell; DOS(E_F) = 7.549 states/eV/f.u.
1.0
4.084 0.000 0.000
0.000 4.084 0.000
0.000 0.000 6.481
La Co Se N
1 1 1 2
direct
0.000 0.000 0.000
0.500 0.500 0.500
0.000 0.000 0.500
0.000 0.500 0.000
0.500 0.000 0.000



Entry 4:
LaCoSeN2 | Alexandria via LeMat-Bulk | GGA-PBE | relaxed; E above lowest polymorph = 0 meV per atom; formation energy (no corrections) = 0.04 eV/atom; magnetization = 2.8 μB/cell; DOS(E_F) = 2.208 states/eV/f.u.
1.0
4.025 0.000 0.000
0.000 4.025 0.000
0.000 0.000 4.724
La Co Se N
1 1 1 2
direct
0.000 0.000 0.000
0.500 0.500 0.500
0.500 0.500 0.000
0.000 0.500 0.500
0.500 0.000 0.500



Entry 5:
With the growing popularity of mutual funds, and the ability to make their own financial planning and decisions, many women have shifted their gaze from FDs to mutual funds.
Invest in equities
Being a woman is tough especially in a country like India. While money cannot keep us away from all the challenges, it certainly will help also in negating some of the monetary issues which we may face in our future.
But putting a sum of amount in FD & RD is just not going to help us. If you have the appetite for higher risk, then you should explore the stock market which can you give unlimited return than traditional saving options. Start reading about stock markets, listed companies and choose quality stocks for your portfolio.
┌──
First-principles (PBE) data for TeBr after structural relaxation, as listed in Alexandria.

Lattice parameters (Å, degrees): 4.1321 10.5816 13.6426 90.00 90.00 90.00
Fractional coordinates of all 16 atoms:
Br (0.7504, 0.3048, 0.8280)
Br (0.7496, 0.8048, 0.1720)
Br (0.7504, 0.8603, 0.4482)
Br (0.2504, 0.1397, 0.0518)
Br (0.2496, 0.1952, 0.3280)
Br (0.7496, 0.3603, 0.5518)
Br (0.2496, 0.6397, 0.9482)
Br (0.2504, 0.6952, 0.6720)
Te (0.7505, 0.9129, 0.8722)
Te (0.2506, 0.1104, 0.8560)
Te (0.2505, 0.0871, 0.6278)
Te (0.2495, 0.5871, 0.3722)
Te (0.7494, 0.3896, 0.3560)
Te (0.7506, 0.8896, 0.6440)
└──
Equity Linked Saving Schemes (ELSS) are the best combination of higher returns and tax savings. It is a diversified mutual fund product that allows tax saving under section 80C of the Income Tax Act. It has given a 15-20% return in the last 5 years.
Bonds are best friends- World knows women have the best management skills. Use your skills while making your portfolio. Don’t miss out the opportunity to invest in bonds.